### Brief
The reader should copy everything further below without additions.

### Given
- - -
Record 1
Computed, not measured: a relaxed structure of GdMgPdPt at the PBE level of DFT.

Results
Calculated volume = 78.06 Å³/cell
Magnetic moment = 1.77 μB per atom
ΔE_f = -0.8979 eV per atom
Density = 10.28 g/cm³

Geometry as extended XYZ:
```
4
Lattice="-3.0831 1.9695 -3.1028 0.8802 -0.2023 -4.7113 -2.6813 -2.8025 -2.8228" Properties=species:S:1:pos:R:3 pbc="T T T"
Gd -1.2210 -0.2588 -2.6592
Mg -3.6631 -0.7765 -7.9777
Pt -2.4421 -0.5177 -5.3185
Pd 0.0000 0.0000 0.0000
```

***

Record 2
Computed, not measured: a relaxed structure of YN at the PBE level of DFT.

Results
Calculated volume = 240.07 Å³/cell
Magnetic moment = 0.00 μB per atom
Energy relative to the elements, uncorrected = -1.26 eV/atom
Density = 4.27 g/cm³

Geometry as extended XYZ:
```
12
Lattice="3.4439 0.0000 0.0000 0.0000 10.7558 0.0000 0.0000 0.0000 6.4810" Properties=species:S:1:pos:R:3 pbc="T T T"
N 0.0000 0.0000 2.7668
N 0.0000 5.3779 6.0073
Y 1.7220 5.3779 0.8972
Y 0.0000 8.5423 2.2873
Y 0.0000 3.1644 5.5278
N 1.7220 2.3737 3.9885
N 1.7220 3.0042 0.7480
Y 0.0000 7.5914 5.5278
N 1.7220 7.7516 0.7480
N 1.7220 8.3821 3.9885
Y 0.0000 2.2135 2.2873
Y 1.7220 0.0000 4.1377
```

***

Record 3
Computed, not measured: a relaxed structure of Ac12Tl3Si5 at the PBE level of DFT.

Results
Calculated volume = 3389.20 Å³/cell
Magnetic moment = 0.01 μB per atom
Energy relative to the elements, uncorrected = -0.11 eV/atom
Density = 6.82 g/cm³

Geometry as extended XYZ:
```
80
Lattice="-7.8871 14.2776 -1.6030 -5.8710 -8.0539 13.0112 16.0127 2.8079 2.0815" Properties=species:S:1:pos:R:3 pbc="T T T"
Ac -3.5251 6.3541 2.1852
Tl -2.6239 1.0224 8.0513
Si -2.4238 3.6916 2.9119
Ac 1.9349 4.5494 9.7545
Ac -3.1192 2.5384 11.3031
Ac 3.4871 -2.4468 10.2244
Ac -5.1905 11.4685 3.9334
Ac 3.9545 4.5794 5.4355
Tl -1.0445 5.4159 11.4835
Ac 1.7153 0.4841 2.5563
Si 5.0709 -2.6230 7.5464
Ac 0.9080 1.4744 7.3877
Ac -0.0833 -5.0509 12.5580
Si -3.5799 6.7274 7.7103
Ac -3.4103 7.9425 10.4167
Ac 0.5393 8.5474 10.9334
Ac -1.2325 11.4783 3.2653
Ac 8.4816 7.6712 5.2919
Ac 1.7075 6.5264 0.5528
Ac 5.3738 6.4932 2.1866
Si -6.0634 2.5783 10.9033
Ac -0.6136 -0.5057 10.5495
Ac 2.3379 14.0825 0.9318
Ac 10.4694 -0.4383 7.0702
Si 1.6390 12.2343 3.1511
Si 5.8346 2.3041 5.7794
Si 1.1273 4.5158 6.7449
Ac 3.9929 -0.1641 13.5056
Ac 5.7797 2.6774 11.3045
Ac 8.5786 3.0890 6.6064
Tl -0.3924 7.9630 3.0315
Tl 3.2991 3.6156 2.0062
Ac 0.5471 2.5052 12.9369
Tl 4.8785 8.0092 5.4385
Ac -8.2148 9.4699 6.4195
Tl 8.3700 0.9926 9.5526
Tl 5.8865 -3.1565 12.7456
Ac -1.7382 9.1957 -0.0159
Si 4.6785 5.3400 10.5779
Ac 6.2560 14.8178 1.5149
Tl -9.3029 6.8034 8.6159
Si -6.8791 3.1118 5.7041
Si 8.0064 1.4039 1.0408
Ac 13.4911 4.4888 2.8077
Si -2.9355 -4.0269 6.5056
Tl 2.6471 1.0686 10.4582
Ac -7.2981 5.2727 11.1169
Ac -1.6999 4.4522 8.0542
Ac -11.2365 4.5428 10.6820
Ac 5.1402 0.4590 8.0027
Ac 1.3467 7.5572 6.1020
Si 8.3180 6.4533 2.5864
Ac -4.0014 -5.7863 11.9748
Ac -2.8856 8.5726 5.4870
Ac -6.3240 5.9425 6.8833
Ac 2.8682 9.5372 2.9402
Si 7.3619 12.1583 2.2455
Tl -6.1154 8.0389 3.9371
Si -3.9436 7.1388 -0.8015
Si 0.0000 0.0000 0.0000
Si 0.8157 -0.5335 5.1992
Ac 9.5528 3.7589 2.3728
Ac 0.3197 4.4822 3.7352
Si 1.4390 9.5651 8.2905
Si -5.1073 -3.1268 11.2442
Ac -2.0572 -1.2836 5.3164
Tl -3.6319 12.1881 0.7441
Ac -3.9682 2.2492 5.0009
Ac 6.2229 6.7824 8.4888
Ac 6.4684 11.1377 4.8893
Ac -6.2270 1.3604 8.1978
Tl 11.5575 2.2281 4.8738
Ac 5.6649 1.0891 3.0730
Ac -5.7075 9.3108 0.5705
Ac -4.2137 -2.1062 8.6004
Ac 4.3118 10.3152 8.1733
Si 0.6156 -3.2028 10.3386
Si 4.0628 8.5427 0.2393
Ac 7.9622 -0.2792 12.9192
Ac 7.4451 -2.4369 9.5563
```

***

Record 4
Computed, not measured: a relaxed structure of NdPa2MnN4 at the PBE level of DFT.

Results
Calculated volume = 229.29 Å³/cell
Magnetic moment = 0.09 μB per atom
Energy relative to the elements, uncorrected = -1.30 eV/atom
Density = 10.39 g/cm³

Geometry as extended XYZ:
```
16
Lattice="3.3984 0.0000 0.0000 -1.6992 5.8682 0.0000 0.0000 0.0000 11.4977" Properties=species:S:1:pos:R:3 pbc="T T T"
- - -

### Written answer
Record 1
Computed, not measured: a relaxed structure of GdMgPdPt at the PBE level of DFT.

Results
Calculated volume = 78.06 Å³/cell
Magnetic moment = 1.77 μB per atom
ΔE_f = -0.8979 eV per atom
Density = 10.28 g/cm³

Geometry as extended XYZ:
```
4
Lattice="-3.0831 1.9695 -3.1028 0.8802 -0.2023 -4.7113 -2.6813 -2.8025 -2.8228" Properties=species:S:1:pos:R:3 pbc="T T T"
Gd -1.2210 -0.2588 -2.6592
Mg -3.6631 -0.7765 -7.9777
Pt -2.4421 -0.5177 -5.3185
Pd 0.0000 0.0000 0.0000
```

***

Record 2
Computed, not measured: a relaxed structure of YN at the PBE level of DFT.

Results
Calculated volume = 240.07 Å³/cell
Magnetic moment = 0.00 μB per atom
Energy relative to the elements, uncorrected = -1.26 eV/atom
Density = 4.27 g/cm³

Geometry as extended XYZ:
```
12
Lattice="3.4439 0.0000 0.0000 0.0000 10.7558 0.0000 0.0000 0.0000 6.4810" Properties=species:S:1:pos:R:3 pbc="T T T"
N 0.0000 0.0000 2.7668
N 0.0000 5.3779 6.0073
Y 1.7220 5.3779 0.8972
Y 0.0000 8.5423 2.2873
Y 0.0000 3.1644 5.5278
N 1.7220 2.3737 3.9885
N 1.7220 3.0042 0.7480
Y 0.0000 7.5914 5.5278
N 1.7220 7.7516 0.7480
N 1.7220 8.3821 3.9885
Y 0.0000 2.2135 2.2873
Y 1.7220 0.0000 4.1377
```

***

Record 3
Computed, not measured: a relaxed structure of Ac12Tl3Si5 at the PBE level of DFT.

Results
Calculated volume = 3389.20 Å³/cell
Magnetic moment = 0.01 μB per atom
Energy relative to the elements, uncorrected = -0.11 eV/atom
Density = 6.82 g/cm³

Geometry as extended XYZ:
```
80
Lattice="-7.8871 14.2776 -1.6030 -5.8710 -8.0539 13.0112 16.0127 2.8079 2.0815" Properties=species:S:1:pos:R:3 pbc="T T T"
Ac -3.5251 6.3541 2.1852
Tl -2.6239 1.0224 8.0513
Si -2.4238 3.6916 2.9119
Ac 1.9349 4.5494 9.7545
Ac -3.1192 2.5384 11.3031
Ac 3.4871 -2.4468 10.2244
Ac -5.1905 11.4685 3.9334
Ac 3.9545 4.5794 5.4355
Tl -1.0445 5.4159 11.4835
Ac 1.7153 0.4841 2.5563
Si 5.0709 -2.6230 7.5464
Ac 0.9080 1.4744 7.3877
Ac -0.0833 -5.0509 12.5580
Si -3.5799 6.7274 7.7103
Ac -3.4103 7.9425 10.4167
Ac 0.5393 8.5474 10.9334
Ac -1.2325 11.4783 3.2653
Ac 8.4816 7.6712 5.2919
Ac 1.7075 6.5264 0.5528
Ac 5.3738 6.4932 2.1866
Si -6.0634 2.5783 10.9033
Ac -0.6136 -0.5057 10.5495
Ac 2.3379 14.0825 0.9318
Ac 10.4694 -0.4383 7.0702
Si 1.6390 12.2343 3.1511
Si 5.8346 2.3041 5.7794
Si 1.1273 4.5158 6.7449
Ac 3.9929 -0.1641 13.5056
Ac 5.7797 2.6774 11.3045
Ac 8.5786 3.0890 6.6064
Tl -0.3924 7.9630 3.0315
Tl 3.2991 3.6156 2.0062
Ac 0.5471 2.5052 12.9369
Tl 4.8785 8.0092 5.4385
Ac -8.2148 9.4699 6.4195
Tl 8.3700 0.9926 9.5526
Tl 5.8865 -3.1565 12.7456
Ac -1.7382 9.1957 -0.0159
Si 4.6785 5.3400 10.5779
Ac 6.2560 14.8178 1.5149
Tl -9.3029 6.8034 8.6159
Si -6.8791 3.1118 5.7041
Si 8.0064 1.4039 1.0408
Ac 13.4911 4.4888 2.8077
Si -2.9355 -4.0269 6.5056
Tl 2.6471 1.0686 10.4582
Ac -7.2981 5.2727 11.1169
Ac -1.6999 4.4522 8.0542
Ac -11.2365 4.5428 10.6820
Ac 5.1402 0.4590 8.0027
Ac 1.3467 7.5572 6.1020
Si 8.3180 6.4533 2.5864
Ac -4.0014 -5.7863 11.9748
Ac -2.8856 8.5726 5.4870
Ac -6.3240 5.9425 6.8833
Ac 2.8682 9.5372 2.9402
Si 7.3619 12.1583 2.2455
Tl -6.1154 8.0389 3.9371
Si -3.9436 7.1388 -0.8015
Si 0.0000 0.0000 0.0000
Si 0.8157 -0.5335 5.1992
Ac 9.5528 3.7589 2.3728
Ac 0.3197 4.4822 3.7352
Si 1.4390 9.5651 8.2905
Si -5.1073 -3.1268 11.2442
Ac -2.0572 -1.2836 5.3164
Tl -3.6319 12.1881 0.7441
Ac -3.9682 2.2492 5.0009
Ac 6.2229 6.7824 8.4888
Ac 6.4684 11.1377 4.8893
Ac -6.2270 1.3604 8.1978
Tl 11.5575 2.2281 4.8738
Ac 5.6649 1.0891 3.0730
Ac -5.7075 9.3108 0.5705
Ac -4.2137 -2.1062 8.6004
Ac 4.3118 10.3152 8.1733
Si 0.6156 -3.2028 10.3386
Si 4.0628 8.5427 0.2393
Ac 7.9622 -0.2792 12.9192
Ac 7.4451 -2.4369 9.5563
```

***

Record 4
Computed, not measured: a relaxed structure of NdPa2MnN4 at the PBE level of DFT.

Results
Calculated volume = 229.29 Å³/cell
Magnetic moment = 0.09 μB per atom
Energy relative to the elements, uncorrected = -1.30 eV/atom
Density = 10.39 g/cm³

Geometry as extended XYZ:
```
16
Lattice="3.3984 0.0000 0.0000 -1.6992 5.8682 0.0000 0.0000 0.0000 11.4977" Properties=species:S:1:pos:R:3 pbc="T T T"